Entries
+++
Arrangement P

# LiVOF3 | Materials Project | PBE+U | relaxed
# - spin magnetization (μB/f.u.) = 1.00
# - SG = No. 14
data_LiVOF3
_space_group_name_H-M_alt 'P 1'
_space_group_IT_number 1
_space_group_name_Hall 'P 1'
_cell_length_a 4.5079
_cell_length_b 4.7959
_cell_length_c 12.6334
_cell_angle_alpha 90.00
_cell_angle_beta 110.42
_cell_angle_gamma 90.00
loop_
_atom_site_label
_atom_site_fract_x
_atom_site_fract_y
_atom_site_fract_z
Li1 0.0487 0.2462 0.0566
Li2 0.0487 0.2538 0.5566
Li3 0.9513 0.7462 0.4434
Li4 0.9513 0.7538 0.9434
V1 0.3458 0.2198 0.3185
V2 0.3458 0.2802 0.8185
V3 0.6542 0.7198 0.1815
V4 0.6542 0.7802 0.6815
O1 0.4357 0.0567 0.6977
O2 0.4357 0.4433 0.1977
O3 0.5643 0.5567 0.8023
O4 0.5643 0.9433 0.3023
F1 0.0435 0.5650 0.3042
F2 0.0435 0.9350 0.8042
F3 0.1837 0.0911 0.4311
F4 0.1837 0.4089 0.9311
F5 0.3276 0.5838 0.5676
F6 0.3276 0.9162 0.0676
F7 0.6724 0.0838 0.9324
F8 0.6724 0.4162 0.4324
F9 0.8163 0.5911 0.0689
F10 0.8163 0.9089 0.5689
F11 0.9565 0.0650 0.1958
F12 0.9565 0.4350 0.6958

***

Arrangement Q

# LiVOF3 | Materials Project | PBE+U | relaxed
# - spin magnetization (μB/f.u.) = 1.00
# - SG = No. 30
data_LiVOF3
_space_group_name_H-M_alt 'P 1'
_space_group_IT_number 1
_space_group_name_Hall 'P 1'
_cell_length_a 4.9889
_cell_length_b 5.1673
_cell_length_c 11.5395
_cell_angle_alpha 90.00
_cell_angle_beta 90.00
_cell_angle_gamma 90.00
loop_
_atom_site_label
_atom_site_fract_x
_atom_site_fract_y
_atom_site_fract_z
Li1 0.0000 0.0000 0.0000
Li2 0.0000 0.0000 0.4077
Li3 0.0000 0.5000 0.5000
Li4 0.0000 0.5000 0.9077
V1 0.0000 0.0000 0.6949
V2 0.0000 0.5000 0.1949
V3 0.5000 0.0000 0.8303
V4 0.5000 0.5000 0.3303
O1 0.1940 0.1973 0.8034
O2 0.1940 0.3027 0.3034
O3 0.8060 0.6973 0.3034
O4 0.8060 0.8027 0.8034
F1 0.1373 0.2061 0.5695
F2 0.1373 0.2939 0.0695
F3 0.3117 0.7090 0.4378
F4 0.3117 0.7910 0.9378
F5 0.3147 0.7189 0.2054
F6 0.3147 0.7811 0.7054
F7 0.6853 0.2189 0.7054
F8 0.6853 0.2811 0.2054
F9 0.6883 0.2090 0.9378
F10 0.6883 0.2910 0.4378
F11 0.8627 0.7061 0.0695
F12 0.8627 0.7939 0.5695

***

Stability, lowest: arrangement Q

***

Arrangement P

# LiVOF3 | Materials Project | PBE+U | relaxed
# - spin magnetization (μB/f.u.) = 1.00
# - SG = No. 1
data_LiVOF3
_space_group_name_H-M_alt 'P 1'
_space_group_IT_number 1
_space_group_name_Hall 'P 1'
_cell_length_a 7.8613
_cell_length_b 7.9403
_cell_length_c 10.7011
_cell_angle_alpha 71.62
_cell_angle_beta 71.44
_cell_angle_gamma 81.74
loop_
_atom_site_label
_atom_site_fract_x
_atom_site_fract_y
_atom_site_fract_z
Li1 0.0000 0.0000 0.0000
Li2 0.0034 0.0024 0.5014
Li3 0.1847 0.8017 0.2476
Li4 0.2071 0.7928 0.7504
Li5 0.3462 0.5403 0.4445
Li6 0.5051 0.5018 0.9987
Li7 0.6915 0.2959 0.7490
Li8 0.7005 0.2971 0.2520
V1 0.1514 0.2130 0.7007
V2 0.1552 0.2204 0.1976
V3 0.4267 0.9440 0.4477
V4 0.4276 0.9458 0.9481
V5 0.6545 0.7183 0.6975
V6 0.6551 0.7177 0.1989
V7 0.9179 0.4440 0.4513
V8 0.9266 0.4444 0.9478
O1 0.0232 0.2634 0.5890
O2 0.0256 0.2655 0.0884
O3 0.4633 0.8092 0.3420
O4 0.4727 0.8157 0.8394
O5 0.5252 0.7729 0.5881
O6 0.5288 0.7680 0.0868
O7 0.9705 0.3124 0.8410
O8 0.9772 0.3213 0.3368
F1 0.0577 0.9898 0.3145
F2 0.0602 0.9809 0.8149
F3 0.1322 0.5774 0.8754
F4 0.1367 0.5808 0.3802
F5 0.1911 0.8544 0.0622
F6 0.1922 0.8496 0.5626
F7 0.2843 0.4180 0.6274
F8 0.2906 0.4232 0.1263
F9 0.2952 0.1424 0.8471
F10 0.2966 0.1439 0.3475
F11 0.3489 0.0840 0.5972
F12 0.3517 0.0869 0.0975
F13 0.5507 0.4872 0.3071
F14 0.5604 0.4874 0.8129
F15 0.6309 0.0775 0.3738
F16 0.6319 0.0797 0.8767
F17 0.6921 0.3542 0.0640
F18 0.6963 0.3473 0.5624
F19 0.7869 0.9233 0.1302
F20 0.7916 0.9199 0.6284
F21 0.7967 0.6420 0.8468
F22 0.7997 0.6437 0.3417
F23 0.8532 0.5870 0.0968
F24 0.8529 0.5877 0.5942

***

Arrangement Q

# LiVOF3 | Materials Project | PBE+U | relaxed
# - spin magnetization (μB/f.u.) = 0.00
# - SG = No. 14
data_LiVOF3
_space_group_name_H-M_alt 'P 1'
_space_group_IT_number 1
_space_group_name_Hall 'P 1'
_cell_length_a 7.6810
_cell_length_b 4.9501
_cell_length_c 7.3995
+++

What to do
Your job: print every line further above that contains the word "V2".

Here it is
V2 0.3458 0.2802 0.8185
V2 0.0000 0.5000 0.1949
V2 0.1552 0.2204 0.1976